Give back all of the material below with every line break kept.

- - -
Entry from the Alexandria database: a relaxed La3PrDy8 crystal (GGA-PBE).

Energy of formation, eV/atom: 0.594
Total magnetic moment, μB/f.u.: 0.0

Cell: 8.431 8.431 8.431 Å, 95.48 116.88 116.89°
Positions (direct):
La  0.500  0.750  0.250
La  0.500  0.250  0.750
La  0.000  0.500  0.500
Pr  0.000  0.000  0.000
Dy  0.504  0.255  0.255
Dy  0.496  0.751  0.751
Dy  0.000  0.745  0.249
Dy  0.000  0.249  0.745
Dy  0.247  0.375  0.375
Dy  0.753  0.127  0.127
Dy  0.000  0.625  0.873
Dy  0.000  0.873  0.625

***

Entry from the Alexandria database: a relaxed BaLa2Br6 crystal (GGA-PBE).

Total magnetic moment, μB/f.u.: 0.0
Energy, eV per formula unit: -38.7

Cell: 7.156 9.940 9.940 Å, 62.45 75.22 75.22°
Positions (direct):
Ba  0.250  0.280  0.720
Ba  0.750  0.720  0.280
La  0.982  0.761  0.747
La  0.518  0.253  0.239
La  0.018  0.239  0.253
La  0.482  0.747  0.761
Br  0.338  0.666  0.539
Br  0.162  0.461  0.334
Br  0.662  0.334  0.461
Br  0.838  0.539  0.666
Br  0.781  0.949  0.443
Br  0.719  0.557  0.051
Br  0.219  0.051  0.557
Br  0.281  0.443  0.949
Br  0.120  0.820  0.977
Br  0.380  0.023  0.180
Br  0.880  0.180  0.023
Br  0.620  0.977  0.820

***

Entry from the Alexandria database: a relaxed ZrU2Rh9 crystal (GGA-PBE).

Energy of formation, eV/atom: -0.690
Total magnetic moment, μB/f.u.: 0.0

Cell: 4.005 4.005 11.984 Å, 90.00 90.00 90.00°
Positions (direct):
Zr  0.000  0.000  0.000
U  0.000  0.000  0.330
U  0.000  0.000  0.670
Rh  0.500  0.500  0.000
Rh  0.500  0.500  0.333
Rh  0.500  0.500  0.667
Rh  0.500  0.000  0.168
Rh  0.500  0.000  0.500
Rh  0.500  0.000  0.832
Rh  0.000  0.500  0.168
Rh  0.000  0.500  0.500
Rh  0.000  0.500  0.832

=====

(1)
A plane-wave DFT calculation with GGA-PBE was carried out for a relaxed structure of Al2CrAg.

Structure (POSCAR):
```
Al2CrAg
1.0
-0.9898 -1.8276 2.0969
1.6794 -2.1670 -1.0960
5.2536 1.9553 4.1840
Cr Al Ag
1 2 1
direct
0.5000 0.5000 0.2500 Cr
0.0000 0.0000 0.0278 Al
0.0000 0.0000 0.4722 Al
0.5000 0.5000 0.7500 Ag
```

The calculation puts the formation energy at -0.06 eV/atom.


(2)
A plane-wave DFT calculation with GGA-PBE was carried out for a relaxed structure of Nd4GePd3.

Structure (POSCAR):
```
Nd4GePd3
1.0
4.0282 0.0000 0.0000
0.0000 4.4934 0.0000
0.0000 0.0000 11.0353
Nd Ge Pd
4 1 3
direct
0.5000 0.5000 0.3636 Nd
0.0000 0.5000 0.8598 Nd
0.0000 0.0000 0.1384 Nd
0.5000 0.0000 0.6361 Nd
0.5000 0.5000 0.0812 Ge
0.0000 0.5000 0.5846 Pd
0.0000 0.0000 0.4175 Pd
0.5000 0.0000 0.9188 Pd
```

The calculation puts the formation energy at -0.80 eV/atom.


(3)
A plane-wave DFT calculation with GGA-PBE was carried out for a relaxed structure of Ti2BeMoH.

Structure (POSCAR):
```
Ti2BeMoH
1.0
4.2273 0.0000 0.0000
0.0000 4.2273 0.0000
0.0000 0.0000 3.3075
Be Mo H Ti
1 1 1 2
direct
0.0000 0.0000 0.5000 Be
0.5000 0.5000 0.5000 Mo
0.0000 0.0000 0.0000 H
0.0000 0.5000 0.0000 Ti
0.5000 0.0000 0.0000 Ti
```


(4)
A plane-wave DFT calculation with GGA-PBE was carried out for a relaxed structure of NaLi6I8.

Structure (POSCAR):
```
NaLi6I8
1.0
7.3968 0.0000 4.2706
2.4656 6.9738 4.2706
0.0000 0.0000 8.5411
Na Li I
1 6 8
direct
0.0000 0.0000 0.0000 Na
0.0000 0.5000 0.5000 Li
0.5000 0.0000 0.0000 Li
0.5000 0.5000 0.0000 Li
0.0000 0.0000 0.5000 Li
0.0000 0.5000 0.0000 Li
0.5000 0.0000 0.5000 Li
0.7500 0.7500 0.7500 I
0.2500 0.2500 0.2500 I
0.7433 0.2567 0.2567 I
0.2567 0.7433 0.7433 I
0.2567 0.2567 0.7433 I
0.7433 0.7433 0.2567 I
0.7433 0.2567 0.7433 I
0.2567 0.7433 0.2567 I
```

The formation energy without anion corrections is -1047 meV per atom.


VASP energy values (in eV for the cell shown) by entry order: -20.199 -45.653 -34.585 -40.904.

=====

A plane-wave DFT calculation with GGA-PBE was carried out for a geometry-optimized CsGe2H6 structure.

Geometry as CIF:
```
data_CsGe2H6
_symmetry_space_group_name_H-M 'C 1 2/c 1'
_symmetry_Int_Tables_number 15
_symmetry_space_group_name_Hall '-C 2yc'
_cell_length_a 11.493
_cell_length_b 9.945
_cell_length_c 7.133
_cell_angle_alpha 90.00
- - -

Entry from the Alexandria database: a relaxed La3PrDy8 crystal (GGA-PBE).

Energy of formation, eV/atom: 0.594
Total magnetic moment, μB/f.u.: 0.0

Cell: 8.431 8.431 8.431 Å, 95.48 116.88 116.89°
Positions (direct):
La  0.500  0.750  0.250
La  0.500  0.250  0.750
La  0.000  0.500  0.500
Pr  0.000  0.000  0.000
Dy  0.504  0.255  0.255
Dy  0.496  0.751  0.751
Dy  0.000  0.745  0.249
Dy  0.000  0.249  0.745
Dy  0.247  0.375  0.375
Dy  0.753  0.127  0.127
Dy  0.000  0.625  0.873
Dy  0.000  0.873  0.625

***

Entry from the Alexandria database: a relaxed BaLa2Br6 crystal (GGA-PBE).

Total magnetic moment, μB/f.u.: 0.0
Energy, eV per formula unit: -38.7

Cell: 7.156 9.940 9.940 Å, 62.45 75.22 75.22°
Positions (direct):
Ba  0.250  0.280  0.720
Ba  0.750  0.720  0.280
La  0.982  0.761  0.747
La  0.518  0.253  0.239
La  0.018  0.239  0.253
La  0.482  0.747  0.761
Br  0.338  0.666  0.539
Br  0.162  0.461  0.334
Br  0.662  0.334  0.461
Br  0.838  0.539  0.666
Br  0.781  0.949  0.443
Br  0.719  0.557  0.051
Br  0.219  0.051  0.557
Br  0.281  0.443  0.949
Br  0.120  0.820  0.977
Br  0.380  0.023  0.180
Br  0.880  0.180  0.023
Br  0.620  0.977  0.820

***

Entry from the Alexandria database: a relaxed ZrU2Rh9 crystal (GGA-PBE).

Energy of formation, eV/atom: -0.690
Total magnetic moment, μB/f.u.: 0.0

Cell: 4.005 4.005 11.984 Å, 90.00 90.00 90.00°
Positions (direct):
Zr  0.000  0.000  0.000
U  0.000  0.000  0.330
U  0.000  0.000  0.670
Rh  0.500  0.500  0.000
Rh  0.500  0.500  0.333
Rh  0.500  0.500  0.667
Rh  0.500  0.000  0.168
Rh  0.500  0.000  0.500
Rh  0.500  0.000  0.832
Rh  0.000  0.500  0.168
Rh  0.000  0.500  0.500
Rh  0.000  0.500  0.832

=====

(1)
A plane-wave DFT calculation with GGA-PBE was carried out for a relaxed structure of Al2CrAg.

Structure (POSCAR):
```
Al2CrAg
1.0
-0.9898 -1.8276 2.0969
1.6794 -2.1670 -1.0960
5.2536 1.9553 4.1840
Cr Al Ag
1 2 1
direct
0.5000 0.5000 0.2500 Cr
0.0000 0.0000 0.0278 Al
0.0000 0.0000 0.4722 Al
0.5000 0.5000 0.7500 Ag
```

The calculation puts the formation energy at -0.06 eV/atom.


(2)
A plane-wave DFT calculation with GGA-PBE was carried out for a relaxed structure of Nd4GePd3.

Structure (POSCAR):
```
Nd4GePd3
1.0
4.0282 0.0000 0.0000
0.0000 4.4934 0.0000
0.0000 0.0000 11.0353
Nd Ge Pd
4 1 3
direct
0.5000 0.5000 0.3636 Nd
0.0000 0.5000 0.8598 Nd
0.0000 0.0000 0.1384 Nd
0.5000 0.0000 0.6361 Nd
0.5000 0.5000 0.0812 Ge
0.0000 0.5000 0.5846 Pd
0.0000 0.0000 0.4175 Pd
0.5000 0.0000 0.9188 Pd
```

The calculation puts the formation energy at -0.80 eV/atom.


(3)
A plane-wave DFT calculation with GGA-PBE was carried out for a relaxed structure of Ti2BeMoH.

Structure (POSCAR):
```
Ti2BeMoH
1.0
4.2273 0.0000 0.0000
0.0000 4.2273 0.0000
0.0000 0.0000 3.3075
Be Mo H Ti
1 1 1 2
direct
0.0000 0.0000 0.5000 Be
0.5000 0.5000 0.5000 Mo
0.0000 0.0000 0.0000 H
0.0000 0.5000 0.0000 Ti
0.5000 0.0000 0.0000 Ti
```


(4)
A plane-wave DFT calculation with GGA-PBE was carried out for a relaxed structure of NaLi6I8.

Structure (POSCAR):
```
NaLi6I8
1.0
7.3968 0.0000 4.2706
2.4656 6.9738 4.2706
0.0000 0.0000 8.5411
Na Li I
1 6 8
direct
0.0000 0.0000 0.0000 Na
0.0000 0.5000 0.5000 Li
0.5000 0.0000 0.0000 Li
0.5000 0.5000 0.0000 Li
0.0000 0.0000 0.5000 Li
0.0000 0.5000 0.0000 Li
0.5000 0.0000 0.5000 Li
0.7500 0.7500 0.7500 I
0.2500 0.2500 0.2500 I
0.7433 0.2567 0.2567 I
0.2567 0.7433 0.7433 I
0.2567 0.2567 0.7433 I
0.7433 0.7433 0.2567 I
0.7433 0.2567 0.7433 I
0.2567 0.7433 0.2567 I
```

The formation energy without anion corrections is -1047 meV per atom.


VASP energy values (in eV for the cell shown) by entry order: -20.199 -45.653 -34.585 -40.904.

=====

A plane-wave DFT calculation with GGA-PBE was carried out for a geometry-optimized CsGe2H6 structure.

Geometry as CIF:
```
data_CsGe2H6
_symmetry_space_group_name_H-M 'C 1 2/c 1'
_symmetry_Int_Tables_number 15
_symmetry_space_group_name_Hall '-C 2yc'
_cell_length_a 11.493
_cell_length_b 9.945
_cell_length_c 7.133
_cell_angle_alpha 90.00